_What to do_
Return only the last part of the lines underneath, starting with the line that has "2.70246 -4.00047".
_Entries_
=====
1.
115
Properties=species:S:1:pos:R:3:mulliken_charge:R:1 method="wB97M-V/def2-TZVPD" molar_mass_g_mol=1072.61 relative_energy_kj_mol=132.4 lumo_ev=-5.7855 energy_ev=-182865.9122 gap_ev=6.56 homo_energy_ev=-12.34 total_charge=+2
H -2.03453 5.53933 1.68267 0.438
H 4.69567 1.76601 -0.52876 0.534
C -1.80562 3.62714 -1.12191 0.534
H 5.80399 2.03396 1.67773 0.445
H -1.13294 -1.98929 2.56572 -0.359
H -4.09269 1.00745 -0.60328 -0.059
N 1.91477 -2.93589 -1.24382 1.215
H 2.03054 -5.40362 -0.31516 0.372
Cl 3.33203 4.92001 3.38406 -0.178
C 1.80827 -3.57506 4.48165 -0.947
H 2.63845 -4.03433 5.00894 0.458
H 3.56325 -2.88046 -3.45973 0.420
C -1.10122 -1.84620 -2.07664 0.515
C 1.09945 1.60870 -3.00726 -0.500
C 2.30489 -2.65665 0.13807 -1.919
C 2.65891 -5.25106 -1.19238 -0.307
C -1.52045 6.26620 -0.26172 -0.966
O -0.32475 0.54210 2.18854 0.239
Ti -0.66894 0.58691 0.33563 -2.792
C 1.77978 3.41099 1.79053 0.710
H -1.23280 4.39577 -3.05664 0.360
H -5.61465 -2.23011 2.22549 0.207
H -2.21876 -4.94569 -1.22624 0.488
C 4.29839 1.26115 0.34606 -1.206
C 3.39581 -6.31230 -1.69245 -0.838
C 2.64394 -0.21573 1.33276 1.096
C 0.91079 1.77309 3.88112 0.873
C 0.35752 -0.11417 -4.52845 -0.756
C 3.17476 0.45928 0.22808 -0.063
H -0.99442 6.70905 -2.29772 0.477
Cl 2.35471 3.07722 5.73214 -0.159
P -2.37546 2.57777 1.38505 2.691
C 2.70246 -4.00047 -1.81409 0.591
P 0.26613 -0.67392 -1.74872 2.937
Cl 2.25067 4.38289 0.45600 -0.188
C -0.31000 -2.41011 3.11750 -0.026
H -1.11896 2.40387 -3.87923 0.167
H 0.33407 -4.25603 5.89255 0.426
C -3.87044 1.64394 -1.44643 -1.103
C 0.51328 -3.69696 4.97685 -0.824
C 4.21525 -4.91690 -3.46044 -0.861
C 0.51323 0.35717 -3.22363 0.638
C 4.38393 0.77739 2.69397 -1.011
H 1.22597 1.98288 -1.99914 0.167
H -4.73738 -0.63741 3.57235 0.239
H -0.90335 3.78287 2.92610 0.500
C 4.18106 -6.15193 -2.83229 -0.530
C -3.89903 -1.15936 1.83534 0.641
O 0.43279 1.98049 0.32834 0.140
H -0.08668 -1.09064 -4.71166 0.510
H 2.71595 0.37433 -0.73950 -0.036
H -1.56009 -3.24027 4.65931 0.467
N -3.91665 -0.56980 3.00520 -0.208
H -1.86409 2.54883 3.75612 0.283
H -1.42209 7.29487 0.07810 0.460
C 1.74266 -1.77063 -2.07662 -3.061
H -4.07435 -4.25881 -2.72001 0.444
C 4.91447 1.41754 1.58288 -0.873
H 2.85851 -0.51607 3.45615 0.492
C -2.06948 2.08335 -3.47558 -1.921
C 2.04336 -2.86964 3.30816 -0.301
H 2.22424 -3.56768 0.70970 0.912
C -2.20608 -3.96432 -1.69622 -0.932
H -4.03271 -2.02127 -3.79489 0.527
C 0.92490 2.36790 1.56563 -0.974
C -1.28003 5.93875 -1.58707 -1.032
H -4.25133 1.15313 -2.34465 0.660
C 1.35230 1.91502 -5.37863 -0.779
H 1.50681 -2.10175 -3.07435 1.707
N -3.00835 0.41869 3.42887 0.117
C -4.19697 2.64170 1.58707 -1.602
H -2.15330 0.29119 2.91314 -1.131
C -3.24760 -3.57914 -2.53098 -0.849
H 1.68946 2.51358 -6.22022 0.437
Cl 0.33261 0.72592 5.11892 -0.146
H -4.86830 -2.50923 0.69441 0.212
C 3.25799 -0.03625 2.57000 -0.514
H -4.41204 2.49631 2.64465 0.522
S -2.70313 -1.01162 0.61183 0.183
P 1.25165 -1.40956 1.04905 2.097
H 3.33347 -2.30745 0.20351 0.657
C -2.16142 -1.46593 -2.90354 0.113
C 3.48672 -3.83772 -2.95284 -0.224
C 1.79173 2.82098 4.13578 0.261
H -2.62318 4.05714 3.25552 0.738
H -2.78776 0.20474 4.39320 0.433
C 0.98434 -2.26016 2.62995 0.241
C -2.01020 3.94494 0.22344 -0.029
H -0.34222 -3.42091 -0.81661 0.302
C -1.87793 3.31473 2.98565 -1.878
H -4.36366 2.60727 -1.33836 0.410
H -2.33948 1.14667 -3.95320 0.581
C -1.87657 5.26755 0.64189 -0.820
H -4.54019 3.62658 1.27352 0.454
H -2.14415 -0.49894 -3.38539 0.076
H 4.84469 0.90638 3.67095 0.463
C 0.50018 1.54811 2.59103 -1.388
H 3.34663 -7.27786 -1.19491 0.396
C -1.42327 4.62340 -2.01440 -1.133
H 4.81625 -4.77518 -4.35337 0.396
H -4.72570 1.88089 1.01902 0.348
C -1.14185 -3.10321 -1.45978 -0.359
C 0.75980 0.67337 -5.60198 -0.957
C 2.23044 3.64074 3.08979 0.819
H 1.98399 3.35172 -3.90827 0.534
C -3.22622 -2.32419 -3.13425 -1.011
H 3.05864 -2.79176 2.93105 0.515
C 1.52529 2.38231 -4.08277 -0.779
H -2.84126 2.82117 -3.69398 0.657
H 4.75833 -6.98426 -3.22261 0.402
C -0.54643 -3.12266 4.28815 -0.519
=====
_Result_
C 2.70246 -4.00047 -1.81409 0.591
P 0.26613 -0.67392 -1.74872 2.937
Cl 2.25067 4.38289 0.45600 -0.188
C -0.31000 -2.41011 3.11750 -0.026
H -1.11896 2.40387 -3.87923 0.167
H 0.33407 -4.25603 5.89255 0.426
C -3.87044 1.64394 -1.44643 -1.103
C 0.51328 -3.69696 4.97685 -0.824
C 4.21525 -4.91690 -3.46044 -0.861
C 0.51323 0.35717 -3.22363 0.638
C 4.38393 0.77739 2.69397 -1.011
H 1.22597 1.98288 -1.99914 0.167
H -4.73738 -0.63741 3.57235 0.239
H -0.90335 3.78287 2.92610 0.500
C 4.18106 -6.15193 -2.83229 -0.530
C -3.89903 -1.15936 1.83534 0.641
O 0.43279 1.98049 0.32834 0.140
H -0.08668 -1.09064 -4.71166 0.510
H 2.71595 0.37433 -0.73950 -0.036
H -1.56009 -3.24027 4.65931 0.467
N -3.91665 -0.56980 3.00520 -0.208
H -1.86409 2.54883 3.75612 0.283
H -1.42209 7.29487 0.07810 0.460
C 1.74266 -1.77063 -2.07662 -3.061
H -4.07435 -4.25881 -2.72001 0.444
C 4.91447 1.41754 1.58288 -0.873
H 2.85851 -0.51607 3.45615 0.492
C -2.06948 2.08335 -3.47558 -1.921
C 2.04336 -2.86964 3.30816 -0.301
H 2.22424 -3.56768 0.70970 0.912
C -2.20608 -3.96432 -1.69622 -0.932
H -4.03271 -2.02127 -3.79489 0.527
C 0.92490 2.36790 1.56563 -0.974
C -1.28003 5.93875 -1.58707 -1.032
H -4.25133 1.15313 -2.34465 0.660
C 1.35230 1.91502 -5.37863 -0.779
H 1.50681 -2.10175 -3.07435 1.707
N -3.00835 0.41869 3.42887 0.117
C -4.19697 2.64170 1.58707 -1.602
H -2.15330 0.29119 2.91314 -1.131
C -3.24760 -3.57914 -2.53098 -0.849
H 1.68946 2.51358 -6.22022 0.437
Cl 0.33261 0.72592 5.11892 -0.146
H -4.86830 -2.50923 0.69441 0.212
C 3.25799 -0.03625 2.57000 -0.514
H -4.41204 2.49631 2.64465 0.522
S -2.70313 -1.01162 0.61183 0.183
P 1.25165 -1.40956 1.04905 2.097
H 3.33347 -2.30745 0.20351 0.657
C -2.16142 -1.46593 -2.90354 0.113
C 3.48672 -3.83772 -2.95284 -0.224
C 1.79173 2.82098 4.13578 0.261
H -2.62318 4.05714 3.25552 0.738
H -2.78776 0.20474 4.39320 0.433
C 0.98434 -2.26016 2.62995 0.241
C -2.01020 3.94494 0.22344 -0.029
H -0.34222 -3.42091 -0.81661 0.302
C -1.87793 3.31473 2.98565 -1.878
H -4.36366 2.60727 -1.33836 0.410
H -2.33948 1.14667 -3.95320 0.581
C -1.87657 5.26755 0.64189 -0.820
H -4.54019 3.62658 1.27352 0.454
H -2.14415 -0.49894 -3.38539 0.076
H 4.84469 0.90638 3.67095 0.463
C 0.50018 1.54811 2.59103 -1.388
H 3.34663 -7.27786 -1.19491 0.396
C -1.42327 4.62340 -2.01440 -1.133
H 4.81625 -4.77518 -4.35337 0.396
H -4.72570 1.88089 1.01902 0.348
C -1.14185 -3.10321 -1.45978 -0.359
C 0.75980 0.67337 -5.60198 -0.957
C 2.23044 3.64074 3.08979 0.819
H 1.98399 3.35172 -3.90827 0.534
C -3.22622 -2.32419 -3.13425 -1.011
H 3.05864 -2.79176 2.93105 0.515
C 1.52529 2.38231 -4.08277 -0.779
H -2.84126 2.82117 -3.69398 0.657
H 4.75833 -6.98426 -3.22261 0.402
C -0.54643 -3.12266 4.28815 -0.519